
Showing posts from October, 2023

Materials data from another source follow:
********
# 1
Starting from a cell relaxed with GGA+U, the powder XRD pattern of Li3Fe2P3O12 was simulated for Cu Ka.
Lines closer than 0.1° are merged.

Atomic structure:
a b c (Å): 8.151 5.405 18.889
angles (deg): 90.00 90.29 90.00
Space group C2/m (No. 12)
Unique sites:
Li (0.000, 0.000, 0.166) [4 per cell]
Li (0.173, 0.500, 0.247) [4 per cell]
Li (0.173, 0.500, 0.914) [4 per cell]
Fe (0.000, 0.000, 0.000) [2 per cell]
Fe (0.000, 0.000, 0.500) [2 per cell]
Fe (0.001, 0.000, 0.332) [4 per cell]
P (0.149, 0.500, 0.082) [4 per cell]
P (0.151, 0.500, 0.748) [4 per cell]
P (0.152, 0.500, 0.417) [4 per cell]
O (0.031, 0.269, 0.077) [8 per cell]
O (0.033, 0.269, 0.743) [8 per cell]
O (0.038, 0.262, 0.417) [8 per cell]
O (0.234, 0.000, 0.316) [4 per cell]
O (0.236, 0.000, 0.518) [4 per cell]
O (0.240, 0.000, 0.985) [4 per cell]
O (0.246, 0.000, 0.652) [4 per cell]
O (0.246, 0.500, 0.817) [4 per cell]
O (0.248, 0.500, 0.149) [4 per cell]

Peak list (8 most intense, 5° ≤ 2θ ≤ 70°, in order of rising 2θ)
2theta  Rel. int.  hkl
14.1  25  0 0 3
21.8  21  2 0 0
24.3  93  1 1 3
26.0  48  2 0 -3
33.1  39  0 2 0
34.8  100  1 1 6
37.0  44  3 1 0
44.2  24  0 2 6


# 2
Starting from a cell relaxed with GGA+U, the powder XRD pattern of LiFePO4 was simulated for Cu Ka.
Lines closer than 0.1° are merged.

Atomic structure:
a b c (Å): 6.289 7.748 16.325
angles (deg): 90.00 97.45 90.00
Space group C2/c (No. 15)
Unique sites:
Li (0.126, 0.173, 0.437) [8 per cell]
Fe (0.245, 0.423, 0.749) [8 per cell]
P (0.045, 0.173, 0.637) [8 per cell]
O (0.072, 0.001, 0.346) [8 per cell]
O (0.077, 0.337, 0.839) [8 per cell]
O (0.097, 0.185, 0.549) [8 per cell]
O (0.240, 0.329, 0.301) [8 per cell]

Peak list (8 most intense, 5° ≤ 2θ ≤ 70°, in order of rising 2θ)
2theta  Rel. int.  hkl
10.9  100  0 0 2
18.3  9  1 1 0
19.6  28  1 1 1
28.4  13  0 2 3
32.0  10  2 0 2
38.0  9  2 2 1
38.7  12  2 0 4
47.3  8  0 4 1


# 3
Starting from a cell relaxed with GGA+U, the powder XRD pattern of LiFe2P3O12 was simulated for Cu Ka.
Lines closer than 0.1° are merged.

Atomic structure:
a b c (Å): 8.255 8.267 8.859
angles (deg): 90.27 117.62 119.55
Space group P-1 (No. 2)
Unique sites:
Li (0.169, 0.440, 0.380) [2 per cell]
Fe (0.294, 0.647, 0.929) [2 per cell]
Fe (0.300, 0.147, 0.455) [2 per cell]
P (0.209, 0.971, 0.747) [2 per cell]
P (0.222, 0.758, 0.253) [2 per cell]
P (0.491, 0.458, 0.252) [2 per cell]
O (0.010, 0.989, 0.687) [2 per cell]
O (0.011, 0.600, 0.241) [2 per cell]
O (0.141, 0.764, 0.754) [2 per cell]
O (0.217, 0.734, 0.080) [2 per cell]
O (0.276, 0.996, 0.604) [2 per cell]
O (0.290, 0.971, 0.311) [2 per cell]
O (0.316, 0.344, 0.588) [2 per cell]
O (0.323, 0.319, 0.303) [2 per cell]
O (0.358, 0.488, 0.080) [2 per cell]
O (0.377, 0.617, 0.758) [2 per cell]
O (0.390, 0.717, 0.404) [2 per cell]
O (0.399, 0.127, 0.925) [2 per cell]

Peak list (8 most intense, 5° ≤ 2θ ≤ 70°, in order of rising 2θ)
2theta  Rel. int.  hkl
14.6  65  1 0 0
14.7  41  -1 1 1
20.1  100  1 0 -2
21.5  28  1 -2 0
24.6  99  1 1 -2
********

Valley of Decision - Promises for the Repentant

  TITLE: Promises for the Repentant TEXT: Joel 2:18-32 TONE: Encouragement TARGET: Believers TASK: To encourage believers concerning the promises of God for the repentant. TEACH: As there is a curse wrapped up in the best things God gives the wicked; so there is a blessing wrapped up in the worst things He brings upon His own. As there is a curse wrapped up in the wicked man’s, so there is a blessing wrapped up in a godly man’s sickness. As there is a curse wrapped up in the wicked man’s strength, so there is blessing wrapped up in a godly man’s weakness. As there is a curse wrapped up in a wicked man’s wealth, so there is a blessing wrapped up in a godly man’s wants. As there is curse wrapped up in a wicked man’s honor, so there is a blessing wrapped up in a godly man’s reproach. TRUTH: We are intended to assume that Joel’s appeals preserved in the preceding part of the book were successful. Evidently the people did gather to a national service of...

## The entry is interrupted by crystal structures
-- begin --
# 1
Simulated PXRD pattern
Compound: LaCe3Ho2S6
Radiation: λ = 1.5418 Å (Cu Kα)
Structure: a cell relaxed with PBE
Peak positions follow from Bragg's law for the DFT cell and can differ from measured ones.

The 10 most intense peaks (2θ = 10–80°), low angle first:
d [Å]  intensity  hkl
3.279  19.1  0 0 2
3.265  56.8  2 0 0
2.831  100.0  2 0 -2
2.005  36.2  2 0 2
1.999  35.7  3 3 -1
1.707  18.8  3 3 1
1.633  18.5  4 0 0
1.415  11.4  4 0 -4
1.268  10.6  3 3 -5
1.264  15.6  5 3 -3

Structure:
Unit cell a=6.9212 b=11.9954 c=6.9568 alpha=90.00 beta=109.47 gamma=90.00
Space group C2/m (No. 12)
Inequivalent atoms, fractional coordinates:
La  0.0000  0.0000  0.0000 [2 per cell]
Ce  0.0000  0.1624  0.5000 [4 per cell]
Ce  0.0000  0.5000  0.5000 [2 per cell]
Ho  0.0000  0.3329  0.0000 [4 per cell]
S  0.2342  0.5000  0.2397 [4 per cell]
S  0.2456  0.3272  0.7554 [8 per cell]

# 2
Simulated PXRD pattern
Compound: InSnBr2Cl
Radiation: λ = 1.5418 Å (Cu Kα)
Structure: a cell relaxed with PBE
Peak positions follow from Bragg's law for the DFT cell and can differ from measured ones.

The 10 most intense peaks (2θ = 10–80°), low angle first:
d [Å]  intensity  hkl
5.654  39.4  0 0 2
4.056  45.9  2 0 0
4.027  76.8  1 1 2
3.455  56.0  2 1 1
3.296  31.8  2 0 2
2.868  69.2  2 2 0
2.827  48.7  0 0 4
2.336  100.0  3 1 2
2.013  41.3  2 2 4
1.351  35.5  6 0 0

Structure:
Unit cell a=8.1127 b=8.1127 c=11.3082 alpha=90.00 beta=90.00 gamma=90.00
Space group I4cm (No. 108)
Inequivalent atoms, fractional coordinates:
In  0.0000  0.5000  0.0000 [4 per cell]
Sn  0.0000  0.0000  0.2845 [4 per cell]
Br  0.1767  0.3233  0.2867 [8 per cell]
Cl  0.0000  0.0000  0.0158 [4 per cell]

# 3
Simulated PXRD pattern
Compound: Tb4CePr7
Radiation: λ = 1.5418 Å (Cu Kα)
Structure: a cell relaxed with PBE
Peak positions follow from Bragg's law for the DFT cell and can differ from measured ones.

The 10 most intense peaks (2θ = 10–80°), low angle first:
d [Å]  intensity  hkl
3.063  54.1  2 0 0
2.970  24.6  1 1 -3
2.925  49.6  1 -2 0
2.914  77.2  1 2 0
2.906  48.5  1 -2 2
2.850  100.0  1 0 -3
2.840  44.8  0 2 -3
2.819  56.6  1 0 3
2.775  25.0  2 1 0
2.586  27.9  -2 1 1

Structure:
Unit cell a=6.1264 b=7.0616 c=10.2145 alpha=110.05 beta=90.77 gamma=90.01
Space group P-1 (No. 2)
Inequivalent atoms, fractional coordinates:
Tb  0.2397  0.3708  0.2706 [2 per cell]
Tb  0.2406  0.9011  0.2705 [2 per cell]
Ce  0.0000  0.5000  0.0000 [1 per cell]
Pr  0.2409  0.3124  0.6285 [2 per cell]
Pr  0.2466  0.9636  0.9265 [2 per cell]
Pr  0.2699  0.7860  0.5748 [2 per cell]
Pr  0.5000  0.5000  0.0000 [1 per cell]
-- stop --

Valley of Decision - Inward Reality or Outward Show

   Valley of Decision   TITLE: Inward Reality or Outward Show  Sermon Date: Oct. 15, 2023 TEXT: Joel 2:1-17 TONE: Warning TARGET: Believers TASK: To warn believers of the coming Day of the Lord and to encourage them to sound the alarm. TEACH: Illustration: Working at the sale barn as a teen. TRUTH: Elsewhere in Scripture, when the trumpet is blown, it is by a watchman to warn of an approaching enemy army. Here it is blown not on the city wall but on the temple mount. It is blown not only in view of an approaching army but also to call the people to gather at the temple to appeal for mercy in view of the approaching day of the Lord.   The description in Joel is better understood as a picture of the heavenly army of the Lord since its effects are unprecedented and cosmic. The army of the Lord is like a human army in many ways.   I. Approaching Quickly.     Picture a military battle, the Lord spea...

Valley of Decision - Divine Disaster

(Someone pasted data records at this point)
+++
Entry 1:
# Cs3GeS3
Simulated X-ray diffraction stick pattern, Cu Kα, 1.54184 Å. Input: a crystal structure in Alexandria, relaxed with GGA-PBE.

Cell and atoms:
```
data_Cs3GeS3
_chemical_formula_sum 'Cs24 Ge8 S24'
_cell_length_a 20.281
_cell_length_b 7.484
_cell_length_c 13.791
_cell_angle_alpha 90.00
_cell_angle_beta 90.00
_cell_angle_gamma 90.00
_symmetry_space_group_name_H-M 'C m c e'
_symmetry_Int_Tables_number 64
_symmetry_space_group_name_Hall '-C 2ac 2'
loop_
_atom_site_label
_atom_site_fract_x
_atom_site_fract_y
_atom_site_fract_z
Cs1 0.000 0.139 0.169
Cs2 0.176 0.154 0.870
Ge1 0.080 0.000 0.500
S1 0.000 0.212 0.422
S2 0.148 0.147 0.612
```

The 12 most intense peaks (5 to 70 degrees two-theta), in order of rising 2θ:
2θ (°)	I/Imax	(hkl)
21.91	100	3 1 2
23.13	68	1 1 3
25.82	80	0 0 4
26.19	79	2 2 1
26.37	51	6 0 0
30.39	39	4 2 1
31.49	22	3 1 4
37.25	57	6 0 4
41.64	19	2 2 5
43.62	22	8 2 1
47.10	42	5 3 3
55.01	23	11 1 3


Entry 2:
# Ti2Ni6Ir
Simulated X-ray diffraction stick pattern, Cu Kα, 1.54184 Å. Input: a crystal structure in Alexandria, relaxed with GGA-PBE.

Cell and atoms:
```
data_Ti2Ni6Ir
_chemical_formula_sum 'Ti2 Ni6 Ir1'
_cell_length_a 4.8083
_cell_length_b 4.8083
_cell_length_c 5.8253
_cell_angle_alpha 90.00
_cell_angle_beta 90.00
_cell_angle_gamma 120.00
_symmetry_space_group_name_H-M 'P -3 m 1'
_symmetry_Int_Tables_number 164
_symmetry_space_group_name_Hall '-P 3 2"'
loop_
_atom_site_label
_atom_site_fract_x
_atom_site_fract_y
_atom_site_fract_z
Ti1 0.3333 0.6667 0.3720
Ni1 0.1722 0.3445 0.8335
Ir1 0.0000 0.0000 0.5000
```

The 12 most intense peaks (5 to 70 degrees two-theta), in order of rising 2θ:
2θ (°)	I/Imax	(hkl)
21.34	74	1 0 0
26.31	47	0 1 1
37.69	61	1 0 2
40.60	81	1 1 1
46.31	100	0 2 1
46.78	23	0 0 3
49.14	29	1 1 2
51.96	30	1 0 3
54.15	43	2 0 2
58.66	15	2 1 0
67.66	16	2 1 2
69.63	16	3 0 1


Entry 3:
# Rb2Tm2HfSe6
Simulated X-ray diffraction stick pattern, Cu Kα, 1.54184 Å. Input: a crystal structure in Alexandria, relaxed with GGA-PBE.

Cell and atoms:
```
data_Rb2Tm2HfSe6
_chemical_formula_sum 'Rb4 Tm4 Hf2 Se12'
_cell_length_a 7.011
_cell_length_b 12.077
_cell_length_c 8.543
_cell_angle_alpha 90.00
_cell_angle_beta 106.38
_cell_angle_gamma 90.00
_symmetry_space_group_name_H-M 'C 1 2/m 1'
_symmetry_Int_Tables_number 12
_symmetry_space_group_name_Hall '-C 2y'
loop_
_atom_site_label
_atom_site_fract_x
_atom_site_fract_y
_atom_site_fract_z
Rb1 0.000 0.170 0.000
Tm1 0.000 0.333 0.500
Hf1 0.000 0.000 0.500
Se1 0.225 0.159 0.689
Se2 0.246 0.500 0.688
```

The 12 most intense peaks (5 to 70 degrees two-theta), in order of rising 2θ:
2θ (°)	I/Imax	(hkl)
10.79	100	0 0 1
21.69	9	0 0 2
29.22	45	2 0 -2
29.48	90	1 3 1
36.04	11	2 0 -3
36.36	21	1 3 2
38.96	30	1 3 -3
39.15	16	2 0 2
44.85	34	3 3 -1
45.04	15	0 6 0
48.25	12	1 3 -4
54.59	23	4 0 0


Entry 4:
# KSb3Pd3
Simulated X-ray diffraction stick pattern, Cu Kα, 1.54184 Å. Input: a crystal structure in Alexandria, relaxed with GGA-PBE.

Cell and atoms:
```
data_KSb3Pd3
+++

  Series Title: Valley of Decision Sermon Date: Oct. 8, 2023 TITLE: Divine Disaster TEXT: Joel 1:1-20 TONE: Warning TARGET: Believers TASK: To help believers understand how God dispenses His judgement. TEACH: O n the first day of November 1755, one of the great earthquakes of modern times struck the city of Lisbon, Portugal. The epicenter was located several miles off the Portuguese coast, in the Atlantic, so tremendous tidal waves struck the city and contributed to the damage. The earthquake came at 9:40 a.m. and lasted for six minutes. In those six minutes all public buildings and 12,000 dwellings were demolished. Sixty thousand people died, including those who were killed as a result of the tidal waves and a fire, which raged for six days. Heavy damage occurred in Fez, Morocco, to the south, and in Algiers, 700 miles to the east. On the coast the tidal waves were sixty feet high.   TRUTH: Nothing personal is known about the man Joel,...
The Decrees of God The decrees of God is His purpose or determination with respect to future things. The Sciptures make mention of the decrees of God in many passages and under a variety of terms. The word "decree" is found in Psalm 2:7, Eph. 3:11, here we read of God's eternal purpose. In Acts 2:23 we read of His "determinate counsel and foreknowledge. In Eph.1:9 we read of His good pleasure. God's decrees are called His counsel to signify they are complety wise. They are called "God's will" to show He was under no control, but acted according to His own pleasure and for His own glory.  The decrees of God relate to all future things without exception: Whatever is done in time, concerning biblical redemptive history was foreordained by God before time. We learn from scripture that God works all things after the counsel of His own sovereign will. Thus, the decrees of God are declarations or pronouncements  that He has made in working out His purposes...